**Listing**
┌──
The ion C5H10N with charge +1 at a distorted geometry, computed with the ωB97M-V functional and the def2-TZVPD basis.

Values from the calculation:
* total energy: -6823.8195 eV
* Kohn-Sham gap (alpha / beta): 7.9 / 9.9 eV
* 2S+1: 3
* net charge: +1
* energy above the lowest of the compared OMol25 structures with the same formula, charge and spin: 2.412 eV

Structure (XYZ):
```
16
Properties=species:S:1:pos:R:3:forces:R:3:mulliken_spin:R:1
C 0.70071 -1.08627 0.93072 8.0746 -7.4591 -1.5622 0.84
C -0.24436 -0.35867 1.51859 -5.5178 5.8959 2.5441 0.93
C 0.66031 -0.52014 -0.36836 -1.3308 2.1936 -0.3141 0.06
C 1.76442 0.34893 -0.89370 1.8478 -1.3376 1.4367 0.04
C -1.94940 0.34043 -0.21048 -0.9971 0.8310 -0.3530 0.04
N -0.50288 0.38118 0.23145 -1.6528 0.9455 0.6792 0.01
H 1.53834 -1.67330 1.29881 -0.2089 0.4215 0.2922 0.01
H -0.89599 -0.38840 2.35181 -0.7155 -0.1533 0.3116 0.00
H 0.08195 -1.06645 -1.03927 -0.2240 -1.3695 -2.0614 0.07
H 1.45877 0.85662 -1.72779 -0.9505 1.3172 -2.2377 0.00
H 2.65531 -0.23576 -1.20625 -0.6101 0.0922 0.3508 0.00
H 2.11285 1.08400 -0.16051 -0.1280 -0.2704 0.1226 -0.01
H -2.41693 -0.55879 0.10935 -0.2061 -0.7842 0.8481 -0.01
H -2.50029 1.23856 0.26427 0.9825 -1.4817 -0.9549 0.00
H -2.11069 0.25650 -1.30870 0.7390 0.7913 0.5511 0.00
H -0.35211 1.38156 0.21005 0.8978 0.3677 0.3470 0.01
```
Forces are in eV/Å.

A structure of composition C5H10N2 at a distorted geometry, computed with the ωB97M-V functional and the def2-TZVPD basis.

Values from the calculation:
* total energy: -8322.0106 eV
* Kohn-Sham gap: 9.7 eV
* energy above the lowest of the compared OMol25 structures with the same formula, charge and spin: 5.323 eV

Structure (XYZ):
```
17
Properties=species:S:1:pos:R:3:forces:R:3:lowdin_charge:R:1
C 1.77738 -0.51200 0.11033 -1.2031 0.3420 1.4997 -0.18
C 0.60611 -0.85078 1.15678 -0.1882 0.2959 -0.4704 -0.08
C -0.55531 -0.52958 0.01570 -1.3731 -5.0181 5.2852 -0.24
C -1.51142 0.87852 -0.92312 -2.9235 1.2555 -2.5200 -0.18
C -0.16766 0.79490 -0.20922 -0.6322 2.3005 -3.3133 -0.40
H 2.65688 -0.08899 0.60512 -0.2400 -0.0322 0.2437 0.09
H 2.17938 -1.37926 -0.42990 -0.6956 0.1722 -0.3700 0.10
H 0.56738 -1.78883 1.66471 0.2959 -1.3190 -0.5690 0.07
H 0.70891 -0.21059 2.06276 -0.5736 0.4879 -1.0246 0.10
H -0.36284 -1.38718 -0.62192 0.1748 0.7880 -0.9664 0.15
H -2.63547 -0.02657 0.58532 -0.8760 0.7749 2.3983 0.05
H -2.21992 1.70776 -1.08969 0.7766 0.6193 0.9050 0.12
H -1.72868 0.35510 -1.82374 1.9091 0.4008 -2.1382 0.10
H -0.30909 1.36424 0.66463 0.1185 0.9096 1.3998 0.14
H 1.98226 1.32080 -0.86629 -3.9489 -1.7059 0.5950 0.19
N -2.09713 -0.22944 -0.18902 2.7054 -1.9272 0.8731 0.02
N 1.10923 0.58189 -0.71243 6.6740 1.6558 -1.8279 -0.04
```
Forces are in eV/Å.

A cluster of 2 separate species, C5H10N2 in total at a distorted geometry, computed with the ωB97M-V functional and the def2-TZVPD basis.

Values from the calculation:
* structure (SMILES): [H]/N=C\NC#C.CC
* total energy: -8324.6501 eV
* Kohn-Sham gap: 10.0 eV
* energy above the lowest of the compared OMol25 structures with the same formula, charge and spin: 2.683 eV

Structure (XYZ):
```
17
Properties=species:S:1:pos:R:3:forces:R:3:lowdin_charge:R:1
C 1.24557 -1.30787 0.59563 0.4461 0.6037 0.1272 -0.19
C 0.96478 -1.55015 -0.88121 -0.0066 0.1753 0.1979 -0.17
C -1.30357 0.20075 0.72484 -1.0279 0.3620 -0.1989 -0.24
C -2.14376 -0.65551 0.84334 0.9441 0.3610 0.2081 0.13
H 2.27523 -1.57663 0.83257 0.0721 -0.0414 0.0258 0.06
H 0.60023 -1.92471 1.21737 -0.0744 0.1679 0.1141 0.06
H 1.10853 -2.59723 -1.13848 -0.0026 -0.0728 -0.0610 0.06
H 1.62550 -0.95153 -1.50329 0.0672 0.0275 -0.1248 0.06
H -0.06109 -1.27831 -1.11622 -0.0917 -0.0395 -0.1335 0.04
H -2.64300 -1.56091 1.03867 -0.3669 -0.3522 -0.0585 0.02
N -0.56341 1.30915 0.48908 -0.1638 -0.2033 0.8218 0.01
C -0.68149 2.00957 -0.69392 0.1884 0.1349 -0.5144 -0.31
N -0.29167 3.17987 -0.93591 0.0177 0.4743 -0.1413 0.09
H -0.24825 1.82028 1.30727 -0.0008 -0.0968 -0.2244 0.15
└──
**Brief**
Your job: give back the part of the listing further up that starts with the line with "beta): 7.9" and stops after the one with "0.60611 -0.85078".
**Written answer**
* Kohn-Sham gap (alpha / beta): 7.9 / 9.9 eV
* 2S+1: 3
* net charge: +1
* energy above the lowest of the compared OMol25 structures with the same formula, charge and spin: 2.412 eV

Structure (XYZ):
```
16
Properties=species:S:1:pos:R:3:forces:R:3:mulliken_spin:R:1
C 0.70071 -1.08627 0.93072 8.0746 -7.4591 -1.5622 0.84
C -0.24436 -0.35867 1.51859 -5.5178 5.8959 2.5441 0.93
C 0.66031 -0.52014 -0.36836 -1.3308 2.1936 -0.3141 0.06
C 1.76442 0.34893 -0.89370 1.8478 -1.3376 1.4367 0.04
C -1.94940 0.34043 -0.21048 -0.9971 0.8310 -0.3530 0.04
N -0.50288 0.38118 0.23145 -1.6528 0.9455 0.6792 0.01
H 1.53834 -1.67330 1.29881 -0.2089 0.4215 0.2922 0.01
H -0.89599 -0.38840 2.35181 -0.7155 -0.1533 0.3116 0.00
H 0.08195 -1.06645 -1.03927 -0.2240 -1.3695 -2.0614 0.07
H 1.45877 0.85662 -1.72779 -0.9505 1.3172 -2.2377 0.00
H 2.65531 -0.23576 -1.20625 -0.6101 0.0922 0.3508 0.00
H 2.11285 1.08400 -0.16051 -0.1280 -0.2704 0.1226 -0.01
H -2.41693 -0.55879 0.10935 -0.2061 -0.7842 0.8481 -0.01
H -2.50029 1.23856 0.26427 0.9825 -1.4817 -0.9549 0.00
H -2.11069 0.25650 -1.30870 0.7390 0.7913 0.5511 0.00
H -0.35211 1.38156 0.21005 0.8978 0.3677 0.3470 0.01
```
Forces are in eV/Å.

A structure of composition C5H10N2 at a distorted geometry, computed with the ωB97M-V functional and the def2-TZVPD basis.

Values from the calculation:
* total energy: -8322.0106 eV
* Kohn-Sham gap: 9.7 eV
* energy above the lowest of the compared OMol25 structures with the same formula, charge and spin: 5.323 eV

Structure (XYZ):
```
17
Properties=species:S:1:pos:R:3:forces:R:3:lowdin_charge:R:1
C 1.77738 -0.51200 0.11033 -1.2031 0.3420 1.4997 -0.18
C 0.60611 -0.85078 1.15678 -0.1882 0.2959 -0.4704 -0.08